A master’s degree can mean many things for different people. It could denote completing courses beyond the bachelor’s degree in a specific area. It could designate that the student has studied or researched abroad while receiving their bachelor’s, or it could be indicating postgraduate study after another type of program.
Many people pursue an advanced degree to branch out in a new career direction, attend graduate school for their passions in reading and writing, or pursue a doctoral degree to become a professor at a prestigious university. Others may have the opportunity to study abroad under scholarships previously earned through their bachelor’s program. Many programs offer specific incentives for students who continue on to another degree or form of education following their undergraduate degree.
Cost vs. Benefit
One question that many people have about pursuing a master’s degree is whether it is worth it financially. Is this extra training going to pay back in additional salary? While there are no definite answers, statistics show that people with master’s degrees tend to make more money than those with only a bachelor’s degree. This trend can last throughout one’s entire life depending on several factors, such as the employer’s financial status, whether they have been in one position after earning a bachelor’s degree, or have had many jobs and promotions throughout their life.
Whether or not students pursue a master’s degree after their bachelor’s also factors into salary differences. It is possible to make more money with a master’s degree in certain situations. Still, it can be difficult to pinpoint which situations this applies to due to the dynamic nature of salaries.
Degree Type and School
Another major factor in determining future earnings with a master’s degree is where someone decides to study. The state in which students attend school has an impact on lifetime earnings. In general, graduates from public schools tend to have more success in the long term than those from private schools. For example, over a lifetime, a graduate with a bachelor’s degree will earn an average of $1,470,000 if she attended a public school and only $1,095,000 if she went to a private institution.
The region where students choose to study also affects post-college earnings. Graduates of the University of California earn an annual salary 14% higher than their counterparts who graduated from private universities over 20 years after receiving bachelor’s degrees. It is worth considering that graduates from major state schools like these tend to be living in large metropolitan areas that typically offer better salaries. On the other end of the spectrum are graduates from the University of Minnesota who earn 15% less 20 years after graduating with an undergraduate degree than those from private schools. Those who attend Montana State University also make slightly less over time, but not enough to be statistically significant.
What About a Doctorate?
Graduates of doctoral programs are likely to make more money than master’s degrees. According to a study conducted by the Census Bureau, people who hold doctorates tend to make 40% more five years after graduation and 85% more ten years later than those with only master’s degrees. The survey collected data on individuals 25-64 years of age without disabilities or limitations that would prohibit them from working or doing certain tasks. These findings do not consider whether the individuals earning more money worked in positions that required advanced degrees.
Other Factors
Several factors are involved with whether a person will make more money with one degree over another. One question remains: how can students determine what type of degree to pursue? Part of this decision comes down to personal interests and goals, but there are several other factors to consider. Do students want to work in a specific field, and what kind of education does that require? Is it necessary to hold a doctorate to pursue their desired occupation? How much money can they spend on schooling, and how much will they make with different degrees after graduating? These are all questions students should ask themselves before deciding what degree to pursue.
[Someone pasted data records at this point]
~~~
Record 1
~~~
It is also worth considering how long it will take someone to finish a master’s degree and whether or not their desired field of work will still be in demand by the time they complete their studies. As with bachelor’s degrees, specific fields will pay more for a master’s degree than others, but these are likely to change over time.
Another way students can maximize their earning potential with a master’s degree is by going into fields that require advanced degrees. Jobs that ask for a doctorate pay significantly more than those that do not. For example, engineers often need a master’s degree, but if they have the option to obtain a doctorate in their field, they can expect average salaries of $1,000-$2,500 more per week.
People with bachelor’s degrees still tend to make more money over time than those who never attended college, but this does not mean that getting a master’s degree is not worth it. For people with bachelor’s degrees, pursuing further education can make them more competitive job applicants and make them stand out among their peers. While someone who has only a bachelor’s degree will likely make more money than someone with no degree at all, the difference is not as great as it is for those who have completed a Ph.D. program. With that said, completing further education is an investment that will pay off over time, provided the individual pursues their desired career path.
Before deciding what degree to pursue, students should ask themselves if they are willing to make the necessary sacrifices to complete their studies, whether it is worth it in their field of study, and whether they have the time and money to further their education.
If you are considering a degree then you should check out this article on Fast-Growing Industries for an idea on what to shoot for.